Entries =
____________
For Pm6In3Pd, a DFT-relaxed cell (GGA-PBE, Alexandria) gives the theoretical X-ray powder pattern in this record (Cu Kα).
Lines closer than 0.1° are merged.

Atomic structure:
Cell: 9.482 5.349 11.769 Å, 90.00 107.50 90.00°
Positions (direct):
Pm 0.038 0.250 0.414
Pm 0.176 0.750 0.171
Pm 0.273 0.250 0.003
Pm 0.353 0.750 0.823
Pm 0.369 0.250 0.346
Pm 0.405 0.250 0.632
Pm 0.595 0.750 0.368
Pm 0.631 0.750 0.654
Pm 0.647 0.250 0.177
Pm 0.727 0.750 0.997
Pm 0.824 0.250 0.829
Pm 0.962 0.750 0.586
In 0.025 0.750 0.880
In 0.113 0.250 0.720
In 0.272 0.750 0.474
In 0.728 0.250 0.526
In 0.887 0.750 0.280
In 0.975 0.250 0.120
Pd 0.458 0.750 0.102
Pd 0.542 0.250 0.898

Main lines, in order of rising 2θ (15° ≤ 2θ ≤ 90°):
- hkl 2 0 -4, 32.08 deg, rel. 35
- hkl 3 1 -1, 32.93 deg, rel. 92
- hkl 1 1 3, 33.08 deg, rel. 100
- hkl 0 2 0, 33.50 deg, rel. 59
- hkl 2 1 -4, 36.32 deg, rel. 18
- hkl 2 2 -4, 47.07 deg, rel. 24
- hkl 3 3 -1, 59.53 deg, rel. 32
- hkl 1 3 3, 59.63 deg, rel. 18

----------

Theoretical X-ray powder pattern
Compound: CeTh5Sn3
Radiation: Cu Ka
Structure: a GGA-PBE-relaxed structure
Intensities are scaled so that the largest is 100.

Structure:
```
data_CeTh5Sn3
_chemical_formula_sum 'Ce4 Th20 Sn12'
_cell_length_a 8.0304
_cell_length_b 8.0304
_cell_length_c 16.9282
_cell_angle_alpha 90.00
_cell_angle_beta 90.00
_cell_angle_gamma 90.00
_symmetry_space_group_name_H-M 'I 4/m c m'
_symmetry_Int_Tables_number 140
_symmetry_space_group_name_Hall '-I 4 2c'
loop_
_atom_site_label
_atom_site_type_symbol
_atom_site_fract_x
_atom_site_fract_y
_atom_site_fract_z
Ce1 Ce 0.0000 0.5000 0.2500
Th1 Th 0.0000 0.0000 0.0000
Th2 Th 0.1825 0.3175 0.1354
Sn1 Sn 0.0000 0.0000 0.2500
Sn2 Sn 0.1254 0.3746 0.5000
```

Most intense lines, 10° ≤ 2θ ≤ 90°, sorted by position:
- (2 1 1), 25.4°, 3.513 Å, rel. 15
- (2 1 3), 29.5°, 3.030 Å, rel. 92
- (2 0 4), 30.7°, 2.913 Å, rel. 100
- (2 2 0), 31.5°, 2.839 Å, rel. 32
- (3 1 0), 35.3°, 2.539 Å, rel. 29
- (2 1 5), 36.5°, 2.464 Å, rel. 23
- (0 0 8), 42.7°, 2.116 Å, rel. 21
- (4 1 1), 47.0°, 1.935 Å, rel. 16
- (4 1 3), 49.5°, 1.841 Å, rel. 22
- (3 3 4), 53.0°, 1.728 Å, rel. 15
- (3 1 8), 56.6°, 1.626 Å, rel. 13
- (4 1 7), 61.1°, 1.517 Å, rel. 15


Theoretical X-ray powder pattern
Compound: KVCl6
Radiation: Cu Ka
Structure: a GGA-PBE-relaxed structure
Intensities are scaled so that the largest is 100.

Structure:
```
data_KVCl6
_chemical_formula_sum 'K2 V2 Cl12'
_cell_length_a 7.9709
_cell_length_b 9.5133
_cell_length_c 6.3844
_cell_angle_alpha 90.00
_cell_angle_beta 109.73
_cell_angle_gamma 90.00
_symmetry_space_group_name_H-M 'C 1 2/m 1'
_symmetry_Int_Tables_number 12
loop_
_symmetry_equiv_pos_as_xyz
'x,y,z'
'-x,-y,-z'
'-x,y,-z'
'x,-y,z'
'x+1/2,y+1/2,z'
'-x+1/2,-y+1/2,-z'
'-x+1/2,y+1/2,-z'
'x+1/2,-y+1/2,z'
loop_
_atom_site_label
_atom_site_type_symbol
_atom_site_fract_x
_atom_site_fract_y
_atom_site_fract_z
K1 K 0.0000 0.0000 0.0000
V1 V 0.0000 0.5000 0.5000
Cl1 Cl 0.0999 0.3309 0.7662
Cl2 Cl 0.2312 0.0000 0.5512
```

Most intense lines, 10° ≤ 2θ ≤ 90°, sorted by position:
- (0 0 1), 14.7°, 6.010 Å, rel. 37
- (1 1 0), 15.0°, 5.891 Å, rel. 59
- (1 1 -1), 18.1°, 4.907 Å, rel. 100
- (0 2 0), 18.7°, 4.757 Å, rel. 38
- (0 2 1), 23.9°, 3.730 Å, rel. 41
- (2 2 -1), 30.0°, 2.975 Å, rel. 43
- (1 3 0), 30.6°, 2.921 Å, rel. 37
- (2 0 1), 32.1°, 2.788 Å, rel. 50
- (3 1 -1), 35.2°, 2.551 Å, rel. 77
- (0 2 2), 35.3°, 2.540 Å, rel. 90
- (1 3 1), 35.9°, 2.501 Å, rel. 70
- (3 3 -3), 56.2°, 1.635 Å, rel. 42


Theoretical X-ray powder pattern
Compound: LiAg4Pt
Radiation: Cu Ka
Structure: a GGA-PBE-relaxed structure
Intensities are scaled so that the largest is 100.

Structure:
```
data_LiAg4Pt
_chemical_formula_sum 'Li2 Ag8 Pt2'
_cell_length_a 5.6918
_cell_length_b 7.3998
_cell_length_c 5.6799
_cell_angle_alpha 90.00
_cell_angle_beta 90.00
_cell_angle_gamma 90.00
_symmetry_space_group_name_H-M 'C m m m'
_symmetry_Int_Tables_number 65
_symmetry_space_group_name_Hall '-C 2 2'
loop_
_atom_site_label
_atom_site_type_symbol
____________

Request =
Duplicate only the lines further up with the word "Sn12" in them.

Written answer =
_chemical_formula_sum 'Ce4 Th20 Sn12'